(*) SHKD Erzincan’da Kısırlaştırma Eğitiminde
Vet Murat Bekhan, Vet Necdet Ugur ve Vet Teknikeri Omer Atis’tan olusan SHKD ekibi, kisirlastirma yapmak ve belediye veterinerlerini egitmek icin gittikleri Erzincan’dan cok umutlu izlenimlerle donduler. Erzincan’ın genç belediye başkanı Yüksel Çakir’in konuya bilincli yaklasimi umut vericiydi. Sokak hayvani sorununun kisirlastirip yerine birakma ile cozulecegine inandigini Dogu Anadolu’da bu yontemi uygulayan ve basariya ulasan ornek sehir olmak istediklerini soyledi. Ekibi ameliyatlari yaparken bizzat ziyaret etti, daha sonra makamina davet ederek ayrintili bilgi aldi. Erzincan Belediye Barinagi da baskanin konuyu ciddiye aldiginin ve sorunu insani yontemlerle cozmek istedigini yansıtır sekilde kopeklerin turlerinin ihtiyac duydugu kosullara uygun bir bicimde disayn edilmisti. Baskanin konuya ciddiyetle yaklastiginin diger bir gostergesi de veterinerlerden birinin sadece sokak hayvanlarinin kisirlastirilmasi icin ise alinmis olmasiydi. Arkadaslarimiz, son derece caliskan, hevesli ve hayvansever bir veteriner olan Eyüp Beye anahtar deligi teknigini uygulamali bir sekilde gosterdiler. SHKD ekibi, Erzincan’da, hayvanseverlerin yakalayarak getirdigi 120 kopek ve 19 kediyi ameliyat ettiler. Veteriner Eyüp beyin bu misyonu ayni titizlikle devam ettireceginden emin olarak ayrildilar.
Erzincan ornegi Turkiye’de birseylerin degistigine dair umut verici oldu. Belediye Başkanı Yuksel Cakir’a sokak hayvani sorununa bu insani ve rasyonel yaklasimi icin tesekkur ediyoruz. Erzincan’in tum Dogu Anadolu icin ornek il olmasini umuyoruz. Bu calismanin gerceklesmesi icin destek veren Hollanda’lı Actiezwerfhonden Dernegine ve SHKD ekibinden sevgili arkadaslarimiz Murat Bekhan, Necdet Ugur ve Omer Atis’a tesekkur ediyoruz.
Bilge Okay
SHKD team in Erzincan
_Between two parts of the piece: data records_
# 1
50
Properties=species:S:1:pos:R:3 method="wB97M-V/def2-TZVPD" multiplicity=1 homo_ev=-17.372 total_charge=+3 homo_lumo_gap_ha=0.198 largest_force_ev_per_a=0.68
Mo 0.48 1.40 0.30
N 3.91 0.82 1.87
C 2.71 0.59 1.44
S 1.31 0.55 2.45
N 2.51 0.58 0.03
N 1.41 -0.19 -0.29
C 1.14 -1.48 -0.38
C 2.11 -2.49 -0.56
C 1.84 -3.82 -0.15
C 2.79 -4.80 -0.35
C 3.99 -4.48 -0.98
C 4.27 -3.17 -1.39
C 3.35 -2.18 -1.17
C -0.31 -1.65 -0.18
C -1.02 -2.75 -0.58
C -2.37 -2.83 -0.25
C -2.93 -1.82 0.51
C -2.15 -0.72 0.84
N -0.88 -0.60 0.49
H 4.09 0.99 2.85
H 4.69 0.85 1.23
H 0.92 -4.06 0.37
H 2.59 -5.81 -0.02
H 4.72 -5.26 -1.15
H 5.21 -2.95 -1.88
H 3.55 -1.17 -1.52
H -0.54 -3.53 -1.16
H -2.96 -3.69 -0.55
H -3.96 -1.87 0.83
H -2.57 0.08 1.44
N 1.05 4.98 2.73
C 0.58 3.99 1.98
S 1.64 3.43 0.66
N -0.60 3.49 2.21
N -0.94 2.56 1.24
C -2.22 2.59 0.93
C -2.79 2.09 -0.27
C -4.17 2.24 -0.51
C -4.67 2.01 -1.77
C -3.81 1.68 -2.83
C -2.45 1.54 -2.64
C -1.96 1.71 -1.36
O -0.63 1.62 -1.12
H 1.92 5.44 2.53
H 0.47 5.37 3.46
H -2.84 3.19 1.59
H -4.82 2.54 0.30
H -5.73 2.13 -1.96
H -4.22 1.53 -3.82
H -1.77 1.31 -3.45

# 2
52
Properties=species:S:1:pos:R:3 method="wB97M-V/def2-TZVPD" multiplicity=1 homo_ev=-0.641 total_charge=-2 homo_lumo_gap_ha=0.166 de_lowest_kcal_mol=0.0 largest_force_ev_per_a=1.14
Rb -0.66 1.14 0.32
O -0.38 -0.24 2.57
S -0.56 -1.63 2.20
O -1.71 -2.32 2.77
N -0.45 -1.68 0.65
C -0.61 -2.81 -0.10
C -0.77 -4.11 0.35
C -0.89 -5.19 -0.55
C -0.86 -5.00 -1.90
C -0.72 -3.69 -2.41
C -0.71 -3.40 -3.80
C -0.59 -2.12 -4.23
C -0.48 -1.09 -3.26
N -0.48 -1.32 -1.97
C -0.60 -2.60 -1.53
C 0.87 -2.49 2.85
C 2.11 -2.26 2.28
C 3.23 -2.91 2.78
C 3.10 -3.79 3.85
C 1.86 -4.02 4.41
C 0.74 -3.37 3.91
H -0.83 -4.31 1.41
H -1.01 -6.18 -0.14
H -0.96 -5.83 -2.59
H -0.80 -4.22 -4.50
H -0.58 -1.86 -5.28
H -0.39 -0.05 -3.55
H 2.19 -1.57 1.45
H 4.20 -2.72 2.34
H 3.98 -4.30 4.24
H 1.76 -4.71 5.24
H -0.25 -3.54 4.33
S -0.14 6.02 5.69
C -0.16 5.40 4.12
S 1.23 4.88 3.27
C 0.51 4.46 1.73
C -0.84 4.65 1.67
S -1.97 4.41 0.36
S -1.55 5.26 3.15
S 1.64 3.91 0.51
C -1.80 4.59 -3.43
N -0.48 4.48 -2.85
C 0.11 5.65 -2.21
C -0.01 3.26 -2.51
O -0.54 2.20 -2.85
H -1.88 5.53 -3.97
H -2.57 4.56 -2.65
H -1.97 3.75 -4.10
H -0.41 6.54 -2.58
H 1.17 5.74 -2.47
H 0.01 5.60 -1.13
H 0.90 3.31 -1.91

----------

# 1
Entry from the Open Molecules 2025 dataset: a structure of composition C32H79AlF6O34S11 in a non-equilibrium geometry (ωB97M-V/def2-TZVPD).

Calculated values
- Kohn-Sham gap (eV) = 3.2
- HOMO (eV) = -8.36
- ΔE to the lowest compared entry with this formula, charge and spin (eV) = 0.000
- E_LUMO (eV) = -5.16

ORCA input file:
```
! wB97M-V def2-TZVPD RIJCOSX def2/J DEFGRID3
* xyz 0 1
Al -0.133 0.241 -0.094
C -1.585 -1.979 -4.892
F -0.854 -2.694 -5.685
F -2.696 -1.584 -5.577
F -2.002 -2.589 -3.829
S -0.603 -0.382 -4.405
O 0.764 -0.630 -4.877
O -1.276 0.765 -4.997
O -0.654 -0.438 -2.919
C -2.347 5.134 -0.382
F -1.180 4.948 -0.916
F -2.487 6.435 -0.008
F -3.316 4.726 -1.223
S -2.322 3.910 1.236
O -3.667 3.953 1.841
_Back to the piece_
The SHKD team of veterinaries, Murat Bekhan, Necdet Ugur and vet technician Omer Atis have returned with very positive impressions from Erzincan where they had gone to train municipality vets about the “key hole” technique and to neuter stray animals. It was especially amazing to observe the young mayor Yuksel Cakir’s very conscious approach to the issue. He said he believed that the problem of overpopulation of stray animals can be solved by neuter and return and that he wanted Erzincan to be the leading city in Eastern Anatolia to implement this technique and to solve the problem. He visited the SHKD team during operation and then invited them to his office afterwards to get through information about the subject. It was remarkable that the municipality shelter was also designed in a way that is convenient for the species needs of the dogs. Another indicator for the mayor’s serious approach was that one of the two vets was particularly employed only for neutering of stray animals. Our friends taught Vet Eyup Bey, who is a very industrious, enthusiastic and compassionate person, the details of the “key hole” technique. The SHKD team neutered 120 dogs and 19 cats during their visit. They have left ERzincan confident that Vet Eyup will continue with the mission with utmost care.
Erzincan example gave hope for change in Turkey. We thank mayor Yuksel Cakir for his humane and rational approach to the problem and hope that Erzincan be an example for all Eastern Anatolia and all Turkey. We thank Acitezwerfhonden for their support and our dear friends Murat Bekhan, Nejdet Ugur and Omer Atis for their precious efforts.